_Wanted_
Next, quote the listing further below from the line with "0.7139 [2" to the end verbatim.
_File_
-- begin --
[1]
Li7Mn4CoO12 | PBE with a Hubbard U | optimized geometry

Properties
Volume, Å³/cell: 217.02
Total magnetization, μB/cell: 18.00
ΔH_f (0 K), meV per atom: -2023
Energy with MP2020 corrections, eV per atom: -6.877

a b c (Å): 2.9606 5.9926 12.6002
angles (deg): 76.59 88.28 86.52
Closest atoms and distances in Å follow each position.
Space group P1 (No. 1)
Unique sites:
1 Li 0.0000 0.0000 0.0000 [1 per cell]  6 O 2.05-2.17
2 Li 0.0001 0.3366 0.3319 [1 per cell]  6 O 2.04-2.16
3 Li 0.0009 0.8374 0.3332 [1 per cell]  6 O 2.05-2.20
4 Li 0.0025 0.6733 0.6651 [1 per cell]  6 O 2.03-2.19
5 Li 0.4979 0.5124 0.4901 [1 per cell]  4 O 2.07-2.19
6 Li 0.5007 0.8392 0.8300 [1 per cell]  6 O 2.12-2.18
7 Li 0.5030 0.1585 0.1766 [1 per cell]  4 O 2.06-2.25
8 Mn 0.0056 0.5072 0.9987 [1 per cell]  4 O 1.93-2.00
9 Mn 0.4974 0.0007 0.4926 [1 per cell]  5 O 1.81-2.02
10 Mn 0.5005 0.3341 0.8298 [1 per cell]  4 O 1.94-2.01
11 Mn 0.5048 0.6743 0.1741 [1 per cell]  4 O 1.80-2.00
12 Co 0.9914 0.1655 0.6642 [1 per cell]  4 O 1.91-1.95
13 O 0.0193 0.7849 0.5001 [1 per cell]  2 Mn 1.94-1.96, 3 Li 2.03-2.12
14 O 0.0220 0.4511 0.1612 [1 per cell]  3 Mn 2.00-2.05, 2 Li 2.10-2.17
15 O 0.0362 0.5767 0.8365 [1 per cell]  2 Mn 1.95-1.99, 3 Li 2.11-2.15
16 O 0.4670 0.9391 0.6574 [1 per cell]  1 Co 1.91, 1 Mn 2.02, 1 Li 2.12
17 O 0.4679 0.2645 0.9938 [1 per cell]  2 Mn 1.95-2.01, 2 Li 2.15-2.16
18 O 0.4966 0.5901 0.3212 [1 per cell]  1 Mn 1.80
19 O 0.5045 0.0849 0.3448 [1 per cell]  1 Mn 1.81
20 O 0.5316 0.4034 0.6678 [1 per cell]  1 Co 1.92, 1 Mn 1.99
21 O 0.5372 0.7416 0.0072 [1 per cell]  2 Mn 1.93-2.05, 2 Li 2.11-2.14
22 O 0.9691 0.0959 0.8232 [1 per cell]  1 Mn 1.94, 1 Co 1.95, 3 Li 2.12-2.17
23 O 0.9789 0.2216 0.5059 [1 per cell]  1 Co 1.95, 2 Mn 1.99-2.04, 2 Li 2.14-2.16
24 O 0.9831 0.8898 0.1662 [1 per cell]  2 Mn 1.94-1.96, 3 Li 2.05-2.11

[2]
Li4MnCo2O7 | PBE with a Hubbard U | optimized geometry

Properties
Volume, Å³/cell: 505.40
Total magnetization, μB/cell: 0.79
ΔH_f (0 K), meV per atom: -1665
Energy with MP2020 corrections, eV per atom: -6.355

a b c (Å): 30.3270 2.8603 5.8526
angles (deg): 90.00 95.43 90.00
Closest atoms and distances in Å follow each position.
Space group Cm (No. 8)
Unique sites:
1 Li 0.0000 0.0000 0.0000 [2 per cell]  5 O 2.03-2.14
2 Li 0.0014 0.0000 0.5005 [2 per cell]  6 O 2.05-2.20
3 Li 0.0684 0.5000 0.2914 [2 per cell]  6 O 2.10-2.26
4 Li 0.1410 0.0000 0.5734 [2 per cell]  6 O 2.02-2.25
5 Li 0.2155 0.5000 0.8555 [2 per cell]  6 O 2.07-2.15
6 Li 0.2893 0.0000 0.1446 [2 per cell]  5 O 2.06-2.14
7 Li 0.3616 0.5000 0.4236 [2 per cell]  6 O 2.04-2.24
8 Li 0.4339 0.0000 0.7139 [2 per cell]  6 O 2.14-2.26
9 Mn 0.1432 0.0000 0.0686 [2 per cell]  6 O 1.92-2.04
10 Mn 0.2874 0.0000 0.6445 [2 per cell]  6 O 1.96-2.18
11 Co 0.0641 0.5000 0.7706 [2 per cell]  3 O 1.79-1.95
12 Co 0.2143 0.5000 0.3584 [2 per cell]  5 O 1.95-2.16
13 Co 0.3604 0.5000 0.9363 [2 per cell]  5 O 1.93-2.09
14 Co 0.4383 0.0000 0.2246 [2 per cell]  5 O 1.81-1.96
15 O 0.0047 0.5000 0.7574 [2 per cell]  1 Co 1.79
16 O 0.0741 0.0000 0.5546 [2 per cell]  2 Co 1.95, 3 Li 2.02-2.10
17 O 0.0797 0.0000 0.0187 [2 per cell]  1 Mn 1.92, 2 Co 2.06
18 O 0.1430 0.5000 0.2939 [2 per cell]  2 Mn 1.95, 1 Co 2.16, 2 Li 2.18
19 O 0.1471 0.5000 0.8498 [2 per cell]  2 Mn 1.93, 3 Li 2.07-2.15
20 O 0.2105 0.0000 0.1266 [2 per cell]  2 Co 1.97, 1 Mn 2.04, 2 Li 2.15
21 O 0.2156 0.0000 0.5852 [2 per cell]  2 Co 1.95, 2 Li 2.13, 1 Mn 2.17
22 O 0.2852 0.5000 0.8719 [2 per cell]  2 Mn 1.96, 3 Li 2.11-2.14
23 O 0.2875 0.5000 0.4142 [2 per cell]  2 Mn 1.97, 2 Li 2.13
24 O 0.3574 0.0000 0.1565 [2 per cell]  2 Co 1.93, 3 Li 2.06-2.11
25 O 0.3593 0.0000 0.7079 [2 per cell]  2 Co 1.96, 1 Mn 2.18
26 O 0.4291 0.5000 0.4375 [2 per cell]  2 Co 1.93, 3 Li 2.04-2.15
27 O 0.4294 0.5000 0.9960 [2 per cell]  3 Co 1.96-2.09, 1 Li 2.14
28 O 0.4981 0.0000 0.2477 [2 per cell]  1 Co 1.81

[3]
Li7Mn2Co3O12 | PBE with a Hubbard U | optimized geometry

Properties
Volume, Å³/cell: 433.86
-- stop --
_Completed_
8 Li 0.4339 0.0000 0.7139 [2 per cell]  6 O 2.14-2.26
9 Mn 0.1432 0.0000 0.0686 [2 per cell]  6 O 1.92-2.04
10 Mn 0.2874 0.0000 0.6445 [2 per cell]  6 O 1.96-2.18
11 Co 0.0641 0.5000 0.7706 [2 per cell]  3 O 1.79-1.95
12 Co 0.2143 0.5000 0.3584 [2 per cell]  5 O 1.95-2.16
13 Co 0.3604 0.5000 0.9363 [2 per cell]  5 O 1.93-2.09
14 Co 0.4383 0.0000 0.2246 [2 per cell]  5 O 1.81-1.96
15 O 0.0047 0.5000 0.7574 [2 per cell]  1 Co 1.79
16 O 0.0741 0.0000 0.5546 [2 per cell]  2 Co 1.95, 3 Li 2.02-2.10
17 O 0.0797 0.0000 0.0187 [2 per cell]  1 Mn 1.92, 2 Co 2.06
18 O 0.1430 0.5000 0.2939 [2 per cell]  2 Mn 1.95, 1 Co 2.16, 2 Li 2.18
19 O 0.1471 0.5000 0.8498 [2 per cell]  2 Mn 1.93, 3 Li 2.07-2.15
20 O 0.2105 0.0000 0.1266 [2 per cell]  2 Co 1.97, 1 Mn 2.04, 2 Li 2.15
21 O 0.2156 0.0000 0.5852 [2 per cell]  2 Co 1.95, 2 Li 2.13, 1 Mn 2.17
22 O 0.2852 0.5000 0.8719 [2 per cell]  2 Mn 1.96, 3 Li 2.11-2.14
23 O 0.2875 0.5000 0.4142 [2 per cell]  2 Mn 1.97, 2 Li 2.13
24 O 0.3574 0.0000 0.1565 [2 per cell]  2 Co 1.93, 3 Li 2.06-2.11
25 O 0.3593 0.0000 0.7079 [2 per cell]  2 Co 1.96, 1 Mn 2.18
26 O 0.4291 0.5000 0.4375 [2 per cell]  2 Co 1.93, 3 Li 2.04-2.15
27 O 0.4294 0.5000 0.9960 [2 per cell]  3 Co 1.96-2.09, 1 Li 2.14
28 O 0.4981 0.0000 0.2477 [2 per cell]  1 Co 1.81

[3]
Li7Mn2Co3O12 | PBE with a Hubbard U | optimized geometry

Properties
Volume, Å³/cell: 433.86